Entries:
/*
Record 1
{
  "formula": "YHf3Sc",
  "functional": "PBE-GGA",
  "state": "relaxed",
  "lattice_angstrom": [[5.161, 0.000, 0.000], [0.000, 5.161, 0.000], [0.000, 0.000, 5.161]],
  "species": ["Y", "Hf", "Hf", "Hf", "Sc"],
  "fractional_positions": [[0.000, 0.000, 0.000], [0.000, 0.000, 0.500], [0.000, 0.500, 0.000], [0.500, 0.000, 0.000], [0.500, 0.500, 0.500]],
  "magmom_total_mub_per_fu": 0.00,
  "formation_energy_ev_per_atom": 1.40
}

***

Record 2
{
  "formula": "Tb5Ce2Ga4",
  "functional": "PBE-GGA",
  "state": "relaxed",
  "lattice_angstrom": [[-1.817, 4.190, 9.961], [1.817, -4.190, 9.961], [1.817, 4.190, -9.961]],
  "species": ["Tb", "Tb", "Tb", "Tb", "Tb", "Ce", "Ce", "Ga", "Ga", "Ga", "Ga"],
  "fractional_positions": [[0.000, 0.000, 0.000], [0.058, 0.338, 0.720], [0.381, 0.662, 0.720], [0.619, 0.338, 0.280], [0.942, 0.662, 0.280], [0.430, 0.930, 0.500], [0.570, 0.070, 0.500], [0.269, 0.500, 0.769], [0.281, 0.781, 0.500], [0.719, 0.219, 0.500], [0.731, 0.500, 0.231]],
  "magmom_total_mub_per_fu": 0.00,
  "formation_energy_ev_per_atom": -0.25
}

***

Record 3
{
  "formula": "MnCu2Ir",
  "functional": "PBE-GGA",
  "state": "relaxed",
  "lattice_angstrom": [[4.333, -1.387, 0.000], [4.333, 1.387, 0.000], [-0.993, 0.000, 4.374]],
  "species": ["Mn", "Cu", "Cu", "Ir"],
  "fractional_positions": [[0.000, 0.000, 0.000], [0.249, 0.249, 0.724], [0.501, 0.501, 0.505], [0.748, 0.748, 0.226]],
  "magmom_total_mub_per_fu": 3.61,
  "formation_energy_ev_per_atom": 0.06
}

***

Record 4
{
  "formula": "Ac2ThSi3Pd12",
  "functional": "PBE-GGA",
  "state": "relaxed",
  "lattice_angstrom": [[4.171, 2.408, 6.379], [-4.171, 2.408, 6.379], [0.000, -4.816, 6.379]],
  "species": ["Ac", "Ac", "Th", "Si", "Si", "Si", "Pd", "Pd", "Pd", "Pd", "Pd", "Pd", "Pd", "Pd", "Pd", "Pd", "Pd", "Pd"],
  "fractional_positions": [[0.100, 0.100, 0.100], [0.900, 0.900, 0.900], [0.500, 0.500, 0.500], [0.000, 0.500, 0.500], [0.500, 0.000, 0.500], [0.500, 0.500, 0.000], [0.095, 0.640, 0.640], [0.160, 0.160, 0.599], [0.160, 0.599, 0.160], [0.360, 0.360, 0.905], [0.360, 0.905, 0.360], [0.401, 0.840, 0.840], [0.599, 0.160, 0.160], [0.640, 0.095, 0.640], [0.640, 0.640, 0.095], [0.840, 0.401, 0.840], [0.840, 0.840, 0.401], [0.905, 0.360, 0.360]],
  "raw_formation_energy_ev_per_atom": -0.462,
  "magmom_total_mub_per_fu": 0.00
}

***

Record 5
{
  "formula": "Ho2AgHg6",
  "functional": "PBE-GGA",
  "state": "relaxed",
  "lattice_angstrom": [[9.359, 0.000, 0.000], [0.000, 9.359, 0.000], [0.000, 0.000, 4.778]],
  "species": ["Ho", "Ho", "Ho", "Ho", "Ag", "Ag", "Hg", "Hg", "Hg", "Hg", "Hg", "Hg", "Hg", "Hg", "Hg", "Hg", "Hg", "Hg"],
  "fractional_positions": [[0.189, 0.189, 0.000], [0.311, 0.689, 0.500], [0.689, 0.311, 0.500], [0.811, 0.811, 0.000], [0.000, 0.000, 0.500], [0.500, 0.500, 0.000], [0.025, 0.333, 0.500], [0.143, 0.857, 0.000], [0.167, 0.525, 0.000], [0.333, 0.025, 0.500], [0.357, 0.357, 0.500], [0.475, 0.833, 0.000], [0.525, 0.167, 0.000], [0.643, 0.643, 0.500], [0.667, 0.975, 0.500], [0.833, 0.475, 0.000], [0.857, 0.143, 0.000], [0.975, 0.667, 0.500]],
  "magmom_total_mub_per_fu": 0.00,
  "formation_energy_ev_per_atom": -0.26
}

***

Record 6
{
  "formula": "Rb3PbI6",
  "functional": "PBE-GGA",
  "state": "relaxed",
  "lattice_angstrom": [[7.997, -10.486, 0.000], [7.997, 10.486, 0.000], [0.000, 0.000, 6.714]],
  "species": ["Rb", "Rb", "Rb", "Rb", "Rb", "Rb", "Pb", "Pb", "I", "I", "I", "I", "I", "I", "I", "I", "I", "I", "I", "I"],
  "fractional_positions": [[0.114, 0.886, 0.500], [0.203, 0.431, 0.506], [0.431, 0.203, 0.006], [0.569, 0.797, 0.506], [0.797, 0.569, 0.006], [0.886, 0.114, 0.000], [0.288, 0.712, 0.135], [0.712, 0.288, 0.635], [0.051, 0.620, 0.244], [0.159, 0.162, 0.252], [0.162, 0.159, 0.752], [0.288, 0.712, 0.674], [0.380, 0.949, 0.244], [0.436, 0.564, 0.190], [0.564, 0.436, 0.690], [0.620, 0.051, 0.744], [0.712, 0.288, 0.174], [0.838, 0.841, 0.252], [0.841, 0.838, 0.752], [0.949, 0.380, 0.744]],
  "raw_formation_energy_ev_per_atom": -1.028,
*/

Brief:
Your job: work out how many lines earlier on have the word "Sc" in them; a number is enough.

Written answer:
1